Ten Years of Child Friendly Leeds
The Child Friendly Leeds Awards returns to City Varieties Music Hall as the organisation celebrates its tenth year.
We look back at how young people’s groups have been involved in planning the awards since 2014.
Written by Catherine Hayward.
Managed by the Children and Families directorate of Leeds City Council, Child Friendly Leeds (CFL) promotes our city as a place where children are valued, supported, enjoy living and can look forward to a bright future.
Leeds Heritage Theatres has been involved with CFL since its launch in 2012 (which involved a visit from HRH Queen Elizabeth II!). Soon after, we began working with a group of young people to present the very first CFL Awards at City Varieties in February 2014. The awards have since become an annual event.
From the outset, we wanted the awards to be something new and exciting that truly celebrated young people, our city, and the organisations and individuals that make Leeds the best place to grow up. Therefore, it was imperative that young people were at the heart of the planning process as these were their awards.

<<<
1.
NdHfPt: optimized geometry, PBE.

Structure (CIF):
```
data_NdHfPt
_chemical_formula_sum 'Nd2 Hf2 Pt2'
_cell_length_a 4.659
_cell_length_b 4.659
_cell_length_c 6.860
_cell_angle_alpha 90.00
_cell_angle_beta 90.00
_cell_angle_gamma 90.00
_space_group_name_H-M_alt 'P 4/n m m'
_space_group_IT_number 129
loop_
_space_group_symop_operation_xyz
'x,y,z'
'-x,-y,-z'
'-y+1/2,x,z'
'y+1/2,-x,-z'
'-x+1/2,-y+1/2,z'
'x+1/2,y+1/2,-z'
'y,-x+1/2,z'
'-y,x+1/2,-z'
'x+1/2,-y,-z'
'-x+1/2,y,z'
'-y,-x,-z'
'y,x,z'
'-x,y+1/2,-z'
'x,-y+1/2,z'
'y+1/2,x+1/2,-z'
'-y+1/2,-x+1/2,z'
loop_
_atom_site_label
_atom_site_type_symbol
_atom_site_fract_x
_atom_site_fract_y
_atom_site_fract_z
_atom_site_occupancy
Nd1 Nd 0.250 0.250 0.123 1
Hf1 Hf 0.250 0.750 0.500 1
Pt1 Pt 0.250 0.250 0.697 1
```

Results
- Calculated volume: 24.8 Å³/atom
- Calculated formation energy: -0.85 eV/atom
- Energy above the most stable polymorph in this dataset: 0 meV/atom



2.
NdPuHf: optimized geometry, PBE.

Structure (CIF):
```
data_NdPuHf
_chemical_formula_sum 'Nd4 Pu4 Hf4'
_cell_length_a 7.233
_cell_length_b 7.233
_cell_length_c 7.233
_cell_angle_alpha 90.00
_cell_angle_beta 90.00
_cell_angle_gamma 90.00
_space_group_name_H-M_alt 'F -4 3 m'
_space_group_IT_number 216
_space_group_name_Hall 'F -4 2 3'
loop_
_atom_site_label
_atom_site_type_symbol
_atom_site_fract_x
_atom_site_fract_y
_atom_site_fract_z
_atom_site_occupancy
Nd1 Nd 0.000 0.000 0.000 1
Pu1 Pu 0.000 0.000 0.500 1
Hf1 Hf 0.250 0.250 0.250 1
```

Results
- Calculated volume: 31.5 Å³/atom
- Calculated formation energy: 0.85 eV/atom
- Energy above the most stable polymorph in this dataset: 0 meV/atom



3.
RbNdHf: optimized geometry, PBE.

Structure (CIF):
```
data_RbNdHf
_chemical_formula_sum 'Rb4 Nd4 Hf4'
_cell_length_a 8.124
_cell_length_b 8.124
_cell_length_c 8.124
_cell_angle_alpha 90.00
_cell_angle_beta 90.00
_cell_angle_gamma 90.00
_space_group_name_H-M_alt 'F -4 3 m'
_space_group_IT_number 216
_space_group_name_Hall 'F -4 2 3'
loop_
_atom_site_label
_atom_site_type_symbol
_atom_site_fract_x
_atom_site_fract_y
_atom_site_fract_z
_atom_site_occupancy
Rb1 Rb 0.000 0.000 0.000 1
Nd1 Nd 0.000 0.000 0.500 1
Hf1 Hf 0.250 0.250 0.750 1
```

Results
- Calculated volume: 44.7 Å³/atom
- Energy: -0.267 Ry/atom



Which of these has the lowest calculated volume?
NdHfPt



Which value of calculated volume does entry 3 give?
44.7 Å³/atom

~~~~~

# 1
# ZnIn2Br

An optimized crystal structure of ZnIn2Br (GGA-PBE, Alexandria via LeMat-Bulk).

Output
The total energy is -2.241 eV per atom. For the formation energy from raw total energies, the calculation gives -0.135 eV per atom. The calculation puts the magnetic moment at 0.0 μB per formula unit. For the relative energy among the computed polymorphs, the calculation gives 0.04 eV/f.u.

abc: 3.9181 3.9181 24.5754
angles: 90.00 90.00 120.00
Element x y z (fractional)
Zn 0.0000 0.0000 0.0000
Zn 0.3333 0.6667 0.6667
Zn 0.6667 0.3333 0.3333
In 0.0000 0.0000 0.2588
In 0.0000 0.0000 0.7412
>>>

The 2014 Child Friendly Leeds Planning Group

### Records of crystals, as found in the file
-- begin --
VASP calculation (PBE with a Hubbard U) on a relaxed structure of CsCr3O8.

abc: 16.758 5.573 8.634
angles: 90.00 90.00 90.00
Space group Pnma (No. 62)
Unique sites:
Cs (0.228, 0.250, 0.011) (multiplicity 4)
Cr (0.041, 0.750, 0.742) (multiplicity 4)
Cr (0.082, 0.750, 0.129) (multiplicity 4)
Cr (0.107, 0.250, 0.548) (multiplicity 4)
O (0.019, 0.250, 0.458) (multiplicity 4)
O (0.031, 0.502, 0.174) (multiplicity 8)
O (0.104, 0.750, 0.937) (multiplicity 4)
O (0.115, 0.001, 0.660) (multiplicity 8)
O (0.167, 0.750, 0.219) (multiplicity 4)
O (0.180, 0.250, 0.426) (multiplicity 4)
-- stop --

The 2016 Child Friendly Leeds Planning Group

The 2020 Child Friendly Leeds Planning Group
Something of this scale hadn’t been done before, with young people making decisions at every step of the process – from deciding the theme, to designing the invitations, programme, trophies and decorations.
Working with Lizi Patch (Writer, Director and Artistic Director Young People’s Theatre at Leeds Heritage Theatres) and our Learning team, the Young Planning Group develop their ideas (which are always wonderfully wacky as only young people’s ideas are!) and bring them to life on The Varieties stage for an invited audience of 450 people.
In the build up to the awards, the group decides on a theme – past themes have included Party Through The Decades, Space, Comic Book Superheroes, Night at the Movies, and Dress to Impress (everyone is encouraged to dress up!) – lead on the design and marketing of the event, feed into the guest-list and choice of presenters, design trophies and write blog posts. They also have a say in what acts perform, from dance groups (hip hop, Irish dancing, ballet) and singer-songwriters and bands, to magicians, a stand-up comedian and a gymnast.
On the night of the ceremony itself, the theatre staff hand over the reins, allowing the young people to take on the roles of House Manager and Attendants/Ushers front of house, whilst backstage taking on numerous technical roles, including Follow-Spot Lighting Operator, Stage Manager, Deputy Stage Manager (cueing the entire show from the side of stage), Stagehand, Runner and Props Supervisor.
Through their involvement with the Awards Planning Group, young people develop a much deeper understanding of the theatre and events industry, and learn teamwork, cooperation and organisation skills. Participants have continued to engage with our Leeds Heritage Theatres programme through involvement with our summer holiday activities, joining our Youth Theatre or participating in work experience programmes.

Attached: crystal structures:
____________
Entry 1:
Density functional theory data (GGA-PBE) for an optimized crystal structure of LaScSn.

Unit cell a=4.0269 b=4.0269 c=5.8973 alpha=109.96 beta=109.96 gamma=90.00
Last column: nearest neighbours and their distance in Å.
Fractional coordinates of all 3 atoms:
Sn1 0.3044 0.3044 0.6089  4 Sc 3.09, 5 La 3.31-3.40
Sc1 0.9204 0.9204 0.8408  1 La 3.05, 4 Sn 3.09
La1 0.6252 0.6252 0.2504  1 Sc 3.05, 5 Sn 3.31-3.40

Its space group is I4mm, No. 107. The calculation puts the total magnetization at 0.0 Bohr magnetons per cell. As for the formation energy: -381 meV per atom. The calculation puts the total energy at -16.4 eV for the cell shown. Its energy above the most stable polymorph in this dataset is 263 meV/atom.

***

Entry 2:
Density functional theory data (GGA-PBE) for an optimized crystal structure of La12ScSn3.

Unit cell a=5.0499 b=5.0499 c=20.2968 alpha=90.00 beta=90.00 gamma=90.00
Last column: nearest neighbours and their distance in Å.
Fractional coordinates of all 16 atoms:
La1 0.0000 0.5000 0.3768  4 Sn 3.55-3.56, 8 La 3.55-3.57
Sn1 0.0000 0.0000 0.7471  12 La 3.56-3.58
La2 0.5000 0.5000 0.5000  8 La 3.55, 4 Sn 3.57
La3 0.5000 0.0000 0.8719  8 La 3.57-3.62, 2 Sn 3.58, 2 Sc 3.62
La4 0.5000 0.0000 0.1281  8 La 3.57-3.62, 2 Sn 3.58, 2 Sc 3.62
La5 0.0000 0.5000 0.1281  8 La 3.57-3.62, 2 Sn 3.58, 2 Sc 3.62
La6 0.5000 0.0000 0.6232  8 La 3.55-3.57, 4 Sn 3.55-3.56
La7 0.0000 0.5000 0.6232  4 Sn 3.55-3.56, 8 La 3.55-3.57
La8 0.5000 0.5000 0.0000  4 Sc 3.57, 8 La 3.62
La9 0.5000 0.5000 0.7476  8 La 3.57, 4 Sn 3.57
Sc1 0.0000 0.0000 0.0000  12 La 3.57-3.62
La10 0.5000 0.0000 0.3768  4 Sn 3.55-3.56, 8 La 3.55-3.57
Sn2 0.0000 0.0000 0.5000  12 La 3.55-3.57
Sn3 0.0000 0.0000 0.2529  12 La 3.56-3.58
La11 0.5000 0.5000 0.2524  8 La 3.57, 4 Sn 3.57
La12 0.0000 0.5000 0.8719  8 La 3.57-3.62, 2 Sn 3.58, 2 Sc 3.62

Its space group is P4/mmm, No. 123. The calculation puts the total magnetization at 0.0 Bohr magnetons per cell. As for the formation energy: -346 meV per atom. The calculation puts the total energy at -83.0 eV for the cell shown.

***

Entry 3:
Density functional theory data (GGA-PBE) for an optimized crystal structure of La9ScSn2.

Unit cell a=5.0550 b=5.0550 c=15.2907 alpha=90.00 beta=90.00 gamma=90.00
Last column: nearest neighbours and their distance in Å.
Fractional coordinates of all 12 atoms:
____________

Child Friendly Leeds Awards 2020
Child Friendly Leeds Awards Highlights
One memorable year, the awards opened with one of the young presenters ‘teleporting’ from the circle level down onto stage. Of course, we couldn’t possibly break the magic of theatre by explaining how the illusion was created but let’s just say that the audience were certainly wowed by Jack and his identical twin brother, Tommy.
We’ve welcomed several celebrity guests over the years including Jamie Jones-Buchanan and Nadiya Hussain – one of the young people baked a cake for Nadiya with the Child Friendly Leeds orange thumb logo. Nadiya was thrilled as apparently no one ever bakes for her – she also said it tasted delicious.
A young magician’s act surprised us all by firing a pyrotechnic that hadn’t been included in the rehearsal. Our quick-thinking techie raced across the balcony to backstage to isolate the smoke detector, just in time to prevent the alarm sounding and the awards being stopped!
Another year, a young musical duo were held up in bad traffic in the centre of town and arrived with only minutes to spare before their performance slot. The young presenters handled it perfectly and the audience never suspected a thing.
Every year it’s an absolutely monumental effort that goes into producing the awards, bringing together Leeds City Council, the Child Friendly Leeds team, the Leeds Heritage Theatres Learning and wider team, the young performers and presenters, and the amazing organisations working hard to make Leeds a child-friendly city – all the while making sure that young people’s voices are at the heart of every single decision.
You can find out more about this year’s awards on the Child Friendly Leeds website.

“The Child Friendly Leeds Awards 2020 were one of the most exciting and significant experiences of my life. From September to February, I met with a team of amazing young people every week to discuss and decide on every aspect of the awards. I developed pitching skills, confidence, friendships and much more. I learnt so much from the experience that will stay with me throughout everything I do. The night itself flew by but I made some memories to last a life time.”
Charlie, Young Planning Group member.